Source.
/*
No. 1
99
Properties=species:S:1:pos:R:3:forces:R:3:mulliken_charge:R:1 method="wB97M-V/def2-TZVPD" spin_multiplicity=1 e_lumo_ev=-1.2 homo_lumo_gap_ev=6.4 de_lowest_kj_mol=0.0
Rh -1.432313 -0.027490 -0.244004 0.065 0.048 -0.083 0.62
C -0.820725 0.736117 2.865189 0.004 -0.005 -0.031 -0.83
O -1.411142 -0.140042 1.883762 0.093 -0.027 0.009 -0.07
C -1.764291 -1.390703 2.333258 -0.082 0.012 0.006 0.36
C -1.977763 -1.677738 3.671976 -0.018 0.007 -0.012 -0.70
C -2.295822 -2.976003 4.038519 -0.003 0.006 -0.001 -0.85
C -2.405887 -3.974785 3.079814 0.008 -0.005 0.008 -0.92
C -2.221046 -3.674898 1.742322 0.004 0.008 0.000 -0.37
C -1.900367 -2.377450 1.363402 -0.031 0.001 -0.008 0.38
N -1.730714 -1.960833 0.011917 -0.084 -0.031 0.046 0.72
N -1.938833 -2.856821 -0.849448 -0.001 0.009 -0.008 -0.77
C -1.947287 -2.605439 -2.178397 0.056 -0.008 -0.004 -0.64
C -1.892965 -1.323225 -2.779749 0.032 0.005 0.005 0.76
O -1.722594 -0.199372 -2.171466 -0.053 -0.013 0.012 -0.83
C -2.070384 -1.234552 -4.202774 -0.004 -0.004 -0.016 -0.38
C -2.211930 -2.335455 -4.967592 0.004 -0.008 -0.003 -1.17
C -2.200585 -3.651604 -4.405677 -0.003 0.000 0.002 0.85
C -2.310221 -4.790892 -5.222989 -0.002 0.005 0.001 -1.02
C -2.294621 -6.047881 -4.676286 0.003 -0.001 0.006 -0.57
C -2.166739 -6.190764 -3.287801 -0.004 -0.004 -0.005 -0.84
C -2.058994 -5.090275 -2.472694 0.000 0.000 0.001 -0.44
C -2.080056 -3.791102 -3.012716 0.013 -0.006 -0.011 1.01
H -1.602299 1.139609 3.505590 -0.014 0.004 -0.014 0.52
H -0.365585 1.542428 2.307904 0.030 0.024 -0.006 -0.73
H -0.077056 0.167008 3.423772 0.000 0.024 0.018 0.94
H -1.907052 -0.900773 4.418178 0.004 -0.019 0.005 0.47
H -2.464976 -3.203255 5.082326 0.003 0.000 0.000 0.43
H -2.653268 -4.985611 3.373519 0.000 0.001 0.001 0.43
H -2.331051 -4.430166 0.978236 -0.001 0.001 0.000 0.37
H -2.086209 -0.240383 -4.628890 -0.010 -0.009 0.002 0.59
H -2.335595 -2.235281 -6.039853 -0.002 0.000 0.000 0.40
H -2.404382 -4.656108 -6.293994 -0.001 -0.001 0.001 0.42
H -2.376162 -6.922228 -5.307938 0.000 0.000 0.000 0.40
H -2.147668 -7.180870 -2.850615 0.000 -0.001 0.000 0.42
H -1.949322 -5.215153 -1.405485 0.002 -0.002 -0.002 0.30
N 1.943794 6.750345 3.873417 0.008 -0.006 -0.017 -0.61
C 0.804096 6.029687 3.534795 0.001 0.004 0.003 1.06
C -0.187468 6.600321 2.737776 0.015 -0.007 -0.006 -0.74
C -1.341920 5.896944 2.438304 0.015 -0.034 -0.049 -0.41
C -1.522384 4.612245 2.928476 -0.033 -0.013 0.017 -0.36
C -0.549310 4.046562 3.744713 0.005 0.008 0.057 -0.38
C 0.604010 4.742759 4.044586 0.000 0.007 -0.007 -0.87
S -2.967395 3.677875 2.502551 -0.014 -0.078 0.081 1.08
O -3.896664 4.609762 1.910529 -0.011 0.018 -0.007 -0.69
O -3.353223 2.945326 3.682081 0.035 0.030 -0.023 -0.75
N -2.457738 2.581144 1.452477 -0.005 -0.078 0.016 -0.25
C -2.141713 2.904031 0.212727 0.085 0.038 -0.030 0.24
S -2.394473 4.447288 -0.574773 -0.038 0.040 -0.018 -0.13
C -1.627715 3.854686 -2.007323 0.029 -0.008 0.038 -0.34
C -1.265388 2.573803 -1.841866 0.034 -0.014 -0.043 -1.19
N -1.540598 2.025396 -0.606223 0.053 -0.020 0.044 0.68
H 2.185856 7.500692 3.247506 -0.001 0.003 0.003 0.22
H 2.741347 6.201422 4.148754 0.000 0.001 0.006 0.22
H -0.053179 7.605774 2.356436 -0.002 0.001 0.001 0.32
H -2.115922 6.340028 1.827316 0.000 0.016 0.013 0.57
H -0.708158 3.061894 4.164899 -0.015 0.048 0.020 0.61
H 1.354913 4.299518 4.688654 0.001 0.002 0.004 0.33
H -1.511678 4.465025 -2.886247 0.007 0.003 0.001 0.46
H -0.796897 1.955561 -2.585443 -0.036 0.011 0.026 0.19
C 1.191345 -3.780639 0.022392 0.018 -0.015 -0.043 -0.78
Si 1.777142 -2.147329 0.747257 -0.053 -0.035 -0.023 -0.12
C 3.652029 -2.104063 0.557015 -0.003 0.035 0.055 -1.15
C 1.464293 -2.215374 2.602214 -0.056 -0.035 -0.012 -0.96
Si 0.937907 -0.238915 -0.400785 -0.038 0.095 0.064 1.20
Si 1.695772 -0.525006 -2.663311 0.011 0.056 -0.002 0.70
C 1.438195 -2.278674 -3.304462 0.014 0.017 -0.013 -0.94
C 3.553872 -0.280058 -2.875960 -0.015 -0.019 -0.065 -1.30
C 0.948587 0.715591 -3.861286 -0.016 -0.005 -0.016 -1.09
*/

Activity.
Could you retype the whole of the data further up character by character?

Done.
No. 1
99
Properties=species:S:1:pos:R:3:forces:R:3:mulliken_charge:R:1 method="wB97M-V/def2-TZVPD" spin_multiplicity=1 e_lumo_ev=-1.2 homo_lumo_gap_ev=6.4 de_lowest_kj_mol=0.0
Rh -1.432313 -0.027490 -0.244004 0.065 0.048 -0.083 0.62
C -0.820725 0.736117 2.865189 0.004 -0.005 -0.031 -0.83
O -1.411142 -0.140042 1.883762 0.093 -0.027 0.009 -0.07
C -1.764291 -1.390703 2.333258 -0.082 0.012 0.006 0.36
C -1.977763 -1.677738 3.671976 -0.018 0.007 -0.012 -0.70
C -2.295822 -2.976003 4.038519 -0.003 0.006 -0.001 -0.85
C -2.405887 -3.974785 3.079814 0.008 -0.005 0.008 -0.92
C -2.221046 -3.674898 1.742322 0.004 0.008 0.000 -0.37
C -1.900367 -2.377450 1.363402 -0.031 0.001 -0.008 0.38
N -1.730714 -1.960833 0.011917 -0.084 -0.031 0.046 0.72
N -1.938833 -2.856821 -0.849448 -0.001 0.009 -0.008 -0.77
C -1.947287 -2.605439 -2.178397 0.056 -0.008 -0.004 -0.64
C -1.892965 -1.323225 -2.779749 0.032 0.005 0.005 0.76
O -1.722594 -0.199372 -2.171466 -0.053 -0.013 0.012 -0.83
C -2.070384 -1.234552 -4.202774 -0.004 -0.004 -0.016 -0.38
C -2.211930 -2.335455 -4.967592 0.004 -0.008 -0.003 -1.17
C -2.200585 -3.651604 -4.405677 -0.003 0.000 0.002 0.85
C -2.310221 -4.790892 -5.222989 -0.002 0.005 0.001 -1.02
C -2.294621 -6.047881 -4.676286 0.003 -0.001 0.006 -0.57
C -2.166739 -6.190764 -3.287801 -0.004 -0.004 -0.005 -0.84
C -2.058994 -5.090275 -2.472694 0.000 0.000 0.001 -0.44
C -2.080056 -3.791102 -3.012716 0.013 -0.006 -0.011 1.01
H -1.602299 1.139609 3.505590 -0.014 0.004 -0.014 0.52
H -0.365585 1.542428 2.307904 0.030 0.024 -0.006 -0.73
H -0.077056 0.167008 3.423772 0.000 0.024 0.018 0.94
H -1.907052 -0.900773 4.418178 0.004 -0.019 0.005 0.47
H -2.464976 -3.203255 5.082326 0.003 0.000 0.000 0.43
H -2.653268 -4.985611 3.373519 0.000 0.001 0.001 0.43
H -2.331051 -4.430166 0.978236 -0.001 0.001 0.000 0.37
H -2.086209 -0.240383 -4.628890 -0.010 -0.009 0.002 0.59
H -2.335595 -2.235281 -6.039853 -0.002 0.000 0.000 0.40
H -2.404382 -4.656108 -6.293994 -0.001 -0.001 0.001 0.42
H -2.376162 -6.922228 -5.307938 0.000 0.000 0.000 0.40
H -2.147668 -7.180870 -2.850615 0.000 -0.001 0.000 0.42
H -1.949322 -5.215153 -1.405485 0.002 -0.002 -0.002 0.30
N 1.943794 6.750345 3.873417 0.008 -0.006 -0.017 -0.61
C 0.804096 6.029687 3.534795 0.001 0.004 0.003 1.06
C -0.187468 6.600321 2.737776 0.015 -0.007 -0.006 -0.74
C -1.341920 5.896944 2.438304 0.015 -0.034 -0.049 -0.41
C -1.522384 4.612245 2.928476 -0.033 -0.013 0.017 -0.36
C -0.549310 4.046562 3.744713 0.005 0.008 0.057 -0.38
C 0.604010 4.742759 4.044586 0.000 0.007 -0.007 -0.87
S -2.967395 3.677875 2.502551 -0.014 -0.078 0.081 1.08
O -3.896664 4.609762 1.910529 -0.011 0.018 -0.007 -0.69
O -3.353223 2.945326 3.682081 0.035 0.030 -0.023 -0.75
N -2.457738 2.581144 1.452477 -0.005 -0.078 0.016 -0.25
C -2.141713 2.904031 0.212727 0.085 0.038 -0.030 0.24
S -2.394473 4.447288 -0.574773 -0.038 0.040 -0.018 -0.13
C -1.627715 3.854686 -2.007323 0.029 -0.008 0.038 -0.34
C -1.265388 2.573803 -1.841866 0.034 -0.014 -0.043 -1.19
N -1.540598 2.025396 -0.606223 0.053 -0.020 0.044 0.68
H 2.185856 7.500692 3.247506 -0.001 0.003 0.003 0.22
H 2.741347 6.201422 4.148754 0.000 0.001 0.006 0.22
H -0.053179 7.605774 2.356436 -0.002 0.001 0.001 0.32
H -2.115922 6.340028 1.827316 0.000 0.016 0.013 0.57
H -0.708158 3.061894 4.164899 -0.015 0.048 0.020 0.61
H 1.354913 4.299518 4.688654 0.001 0.002 0.004 0.33
H -1.511678 4.465025 -2.886247 0.007 0.003 0.001 0.46
H -0.796897 1.955561 -2.585443 -0.036 0.011 0.026 0.19
C 1.191345 -3.780639 0.022392 0.018 -0.015 -0.043 -0.78
Si 1.777142 -2.147329 0.747257 -0.053 -0.035 -0.023 -0.12
C 3.652029 -2.104063 0.557015 -0.003 0.035 0.055 -1.15
C 1.464293 -2.215374 2.602214 -0.056 -0.035 -0.012 -0.96
Si 0.937907 -0.238915 -0.400785 -0.038 0.095 0.064 1.20
Si 1.695772 -0.525006 -2.663311 0.011 0.056 -0.002 0.70
C 1.438195 -2.278674 -3.304462 0.014 0.017 -0.013 -0.94
C 3.553872 -0.280058 -2.875960 -0.015 -0.019 -0.065 -1.30
C 0.948587 0.715591 -3.861286 -0.016 -0.005 -0.016 -1.09